-- What to do --
Say how many lines of the material further below hold the word "with", as a bare number, please.

-- Contents --
/*
Density functional theory data (ωB97M-V/def2-TZVPD) for a single C9H11ClN2 molecule at a distorted geometry.

Values from the calculation:
Energy above the lowest of the compared OMol25 structures with the same formula, charge and spin: 99.72 kJ/mol
LUMO: 0.59 eV
Gap between HOMO and LUMO: 9.37 eV
SMILES: [H]/N=C(/N)CCc1ccc(Cl)cc1

ORCA input file:
```
! wB97M-V def2-TZVPD RIJCOSX def2/J DEFGRID3
* xyz 0 1
H 2.59 -0.01 -1.23
N 2.06 -0.05 -2.10
C 1.24 -0.99 -2.52
N 0.75 -0.99 -3.80
C 0.85 -2.16 -1.72
C -0.43 -1.97 -0.99
C -0.33 -0.91 0.07
C -0.18 -1.15 1.44
C -0.35 -0.02 2.36
C -0.65 1.26 1.82
Cl -1.04 2.55 2.93
C -0.65 1.50 0.44
C -0.37 0.38 -0.39
H 0.33 -1.96 -4.14
H 0.75 -0.13 -4.35
H 0.60 -3.12 -2.33
H 1.56 -2.47 -0.88
H -1.19 -1.62 -1.66
H -0.57 -3.02 -0.53
H 0.11 -2.13 1.70
H -0.26 -0.25 3.47
H -0.44 2.53 -0.08
H -0.17 0.50 -1.41
*
```


Record 1
The following is a DFT calculation (wB97M-V/def2-TZVPD) of a 10-piece molecular cluster, C4H28NO10S overall at a distorted geometry.

The geometry in ORCA input format:
```
! RIJCOSX wB97M-V def2-TZVPD def2/J DEFGRID3
* xyz 2 2
H 0.069 1.363 0.401
H 3.659 1.989 2.048
H -0.149 3.644 -2.172
O 0.124 4.468 -1.879
C -0.973 -0.487 1.541
O -1.151 -3.897 1.041
O -2.682 1.352 0.334
C -0.710 -0.114 -1.067
H -1.463 1.843 -1.330
H 1.010 -2.006 2.793
O 1.075 -2.486 1.885
N 1.310 -0.227 0.381
H -0.235 -0.971 -1.578
H 0.189 -4.130 -1.648
C -0.133 0.164 0.318
H 1.780 -0.652 -0.545
H 0.077 1.814 -1.954
H -2.546 1.732 1.138
O 3.450 -0.455 -1.644
H -0.791 -4.674 0.669
H -1.405 -3.312 0.258
H 0.252 4.189 -0.970
H 2.025 0.550 0.777
O -0.129 -3.250 -1.783
H 4.198 -0.010 -1.202
H 1.256 3.498 2.634
H -3.239 -0.525 1.262
H 3.710 -0.878 -2.521
S -1.418 1.021 -3.603
H 0.047 -3.038 -2.696
H 1.512 -0.932 1.088
C -0.785 1.157 -1.900
O -0.569 -0.371 2.646
H 3.266 0.801 2.785
H 0.515 -3.288 2.167
H -4.623 -1.010 0.413
O 3.399 1.068 1.858
O -4.116 -0.245 0.957
H 0.462 3.058 1.624
H -1.816 -0.650 -1.218
H -1.879 -0.921 1.150
H -0.416 0.603 -4.397
H -3.524 1.383 0.005
O 1.366 2.831 1.937
*
```

The LUMO energy (alpha / beta) comes out at -0.236 / -0.437 Ha. As for the expectation value of S²: 0.75. The calculation puts the gap between HOMO and LUMO (alpha / beta) at 10.022 / 4.529 eV.

Population analysis type natural (NBO), resulting atomic charges in e: number 1, H, carries 0.2394; number 2, H, carries 0.5040; number 3, H, carries 0.4190; number 4, O, carries -0.8623; number 5, C, carries 0.4951; number 6, O, carries -0.9462; number 7, O, carries -0.9669; number 8, C, carries -0.4653; number 9, H, carries 0.3219; number 10, H, carries 0.4859; number 11, O, carries -0.9966; number 12, N, carries -0.7965; number 13, H, carries 0.2639; number 14, H, carries 0.4966; number 15, C, carries -0.1479; number 16, H, carries 0.4886; number 17, H, carries 0.2587; number 18, H, carries 0.4870; number 19, O, carries -1.0028; number 20, H, carries 0.4789; number 21, H, carries 0.4763; number 22, H, carries 0.4523; number 23, H, carries 0.4995; number 24, O, carries -0.9687; number 25, H, carries 0.5130; number 26, H, carries 0.4923; number 27, H, carries 0.4539; number 28, H, carries 0.5134; number 29, S, carries 0.7541; number 30, H, carries 0.4782; number 31, H, carries 0.4752; number 32, C, carries -0.6232; number 33, O, carries -0.4564; number 34, H, carries 0.4929; number 35, H, carries 0.5312; number 36, H, carries 0.5007; number 37, O, carries -0.9496; number 38, O, carries -0.9536; number 39, H, carries 0.4547; number 40, H, carries 0.2632; number 41, H, carries 0.1113; number 42, H, carries 0.1614; number 43, H, carries 0.5147; number 44, O, carries -0.9414

---

Record 2
The following is a DFT calculation (wB97M-V/def2-TZVPD) of a 10-piece molecular cluster, C4H28NO11 overall at a distorted geometry.

The geometry in ORCA input format:
```
! RIJCOSX wB97M-V def2-TZVPD def2/J DEFGRID3
* xyz 1 1
H 0.024 4.116 1.797
O -0.692 4.387 2.417
O -0.607 -0.124 1.917
O -2.880 -0.263 -0.648
H -1.999 -1.879 0.216
*/

-- Done --
1